File:
The following is a DFT calculation (ωB97M-V/def2-TZVPD) of a 16-piece molecular cluster, C72H177BN11O33 overall in a non-equilibrium geometry.

## Properties
- orbital gap (eV) = 8.3
- total charge = -1
- highest occupied orbital energy (eV) = -6.312
- ΔE to the lowest compared entry with this formula, charge and spin (kcal per mole) = 2.24

Each atom is followed by the atoms it is bonded to, with distances in Å.
Positions of all 294 atoms, in Å:
1 O 2.66256 -2.39484 -1.79424  C2 1.242
2 C 1.69568 -1.91294 -1.18131  O1 1.242, O3 1.338, C6 1.567
3 O 1.76922 -1.11460 -0.10973  C2 1.338, B4 1.466
4 B 0.43629 -0.66486 0.30181  O3 1.466, O5 1.487, O8 1.483, O12 1.442
5 O -0.50267 -1.30356 -0.65838  B4 1.487, C6 1.358
6 C 0.18289 -2.04225 -1.56848  C2 1.567, O5 1.358, O7 1.205
7 O -0.29399 -2.57977 -2.53537  C6 1.205
8 O 0.27415 0.80202 0.15829  B4 1.483, C9 1.388
9 C -0.15964 1.29508 1.38078  O8 1.388, O10 1.253, C11 1.527
10 O -0.39768 2.48600 1.68998  C9 1.253
11 C -0.28515 0.09587 2.31744  C9 1.527, O12 1.257, O13 1.221
12 O 0.10491 -0.91663 1.68275  B4 1.442, C11 1.257
13 O -0.64152 0.13856 3.48450  C11 1.221
14 C -3.15021 0.04305 6.20657  O15 1.410, H16 1.090, H17 1.090, H18 1.090
15 O -2.30439 0.55493 7.21151  C14 1.410, H19 0.960
16 H -2.56367 -0.12478 5.30329  C14 1.090
17 H -3.42669 -0.98528 6.43942  C14 1.090
18 H -4.11802 0.52668 6.07410  C14 1.090
19 H -2.11531 1.46257 6.96244  O15 0.960
20 C -1.87626 -5.76298 -3.90721  O21 1.402, H22 1.090, H23 1.090, H24 1.090
21 O -1.05682 -6.82246 -3.49186  C20 1.402, H25 0.960
22 H -1.90764 -4.95590 -3.17525  C20 1.090
23 H -1.36983 -5.36232 -4.78533  C20 1.090
24 H -2.92482 -6.02269 -4.05267  C20 1.090
25 H -1.12347 -6.96507 -2.54486  O21 0.960
26 C 1.13060 -4.01579 2.42585  O27 1.389, H28 1.090, H29 1.090, H30 1.090
27 O 2.26037 -4.16887 3.22005  C26 1.389, H31 0.960
28 H 1.24903 -3.24831 1.66096  C26 1.090
29 H 0.69969 -4.84540 1.86537  C26 1.090
30 H 0.35675 -3.63682 3.09340  C26 1.090
31 H 2.93662 -4.62896 2.71745  O27 0.960
32 C 4.52774 -2.06625 -4.30823  O33 1.394, H34 1.090, H35 1.090, H36 1.090
33 O 5.69826 -1.76684 -5.00418  C32 1.394, H37 0.960
34 H 4.72974 -2.13866 -3.23955  C32 1.090
35 H 3.76451 -1.33616 -4.57757  C32 1.090
36 H 4.18902 -3.04093 -4.65943  C32 1.090
37 H 5.82875 -0.81604 -5.02765  O33 0.960
38 C -0.25544 2.85860 6.96740  O39 1.410, H47 1.090, H48 1.090, H49 1.090
39 O -1.44397 2.75156 6.21657  C38 1.410, C40 1.436
40 C -1.32226 3.47164 4.98006  O39 1.436, C41 1.538, H50 1.090, H51 1.090
41 C -2.62924 3.30562 4.18683  C40 1.538, N42 1.461, H52 1.090, H53 1.090
42 N -3.77643 3.64773 5.02476  C41 1.461, C43 1.464, H54 1.010
43 C -4.17669 5.04602 4.85975  N42 1.464, C44 1.542, H55 1.090, H56 1.090
44 C -4.95019 5.45711 6.12903  C43 1.542, O45 1.414, H57 1.090, H58 1.090
45 O -4.19958 5.25946 7.31076  C44 1.414, C46 1.407
46 C -4.80106 5.65331 8.52030  O45 1.407, H59 1.090, H60 1.090, H61 1.090
47 H -0.50027 2.49106 7.96394  C38 1.090
48 H 0.14777 3.87094 6.99333  C38 1.090
49 H 0.47525 2.17957 6.52796  C38 1.090
50 H -0.57210 3.04009 4.31740  C40 1.090
51 H -1.12198 4.52044 5.19918  C40 1.090
52 H -2.58298 2.24118 3.95681  C41 1.090
53 H -2.67527 3.75165 3.19333  C41 1.090
54 H -3.53575 3.50404 5.99508  N42 1.010
55 H -4.90522 5.14041 4.05451  C43 1.090
56 H -3.40189 5.76929 4.60544  C43 1.090
57 H -5.88002 4.88955 6.09149  C44 1.090
58 H -5.31394 6.48182 6.05326  C44 1.090
59 H -5.64751 4.99112 8.70233  C46 1.090
60 H -5.26059 6.63083 8.37398  C46 1.090
61 H -4.03809 5.52950 9.28883  C46 1.090
62 C -0.24052 1.23277 -3.93182  O63 1.448, H71 1.090, H72 1.090, H73 1.090
63 O 0.29089 2.01503 -2.83565  C62 1.448, C64 1.435
64 C 0.62683 3.36117 -3.20120  O63 1.435, C65 1.528, H74 1.090, H75 1.090
65 C 0.83644 4.15584 -1.91324  C64 1.528, N66 1.482, H76 1.090, H77 1.090
66 N 1.16512 5.58194 -2.14634  C65 1.482, C67 1.466, H78 1.010
67 C 2.35607 5.95955 -2.91389  N66 1.466, C68 1.559, H79 1.090, H80 1.090

Wanted:
Next, say how many lines of the material above hold the word "energy", as a bare number.

Response:
1